[File]
+++
{"formula": "C61H62O9", "method": "ωB97M-V/def2-TZVPD", "elements": ["C", "C", "O", "O", "C", "C", "C", "C", "C", "C", "C", "O", "C", "C", "C", "C", "C", "C", "C", "C", "C", "C", "C", "C", "C", "O", "C", "C", "C", "C", "C", "C", "C", "C", "C", "C", "C", "O", "H", "H", "H", "H", "H", "H", "H", "H", "H", "H", "H", "H", "H", "H", "H", "H", "H", "H", "H", "H", "H", "H", "H", "H", "H", "H", "H", "H", "H", "H", "H", "H", "H", "H", "H", "H", "H", "H", "H", "H", "H", "H", "H", "H", "H", "H", "O", "C", "C", "C", "C", "C", "C", "C", "C", "O", "C", "C", "C", "C", "C", "C", "H", "H", "H", "H", "H", "H", "H", "H", "O", "C", "C", "C", "C", "C", "C", "C", "C", "O", "C", "C", "C", "C", "C", "C", "H", "H", "H", "H", "H", "H", "H", "H"], "coordinates": [[0.28, 5.90, 4.23], [1.56, 5.05, 3.81], [2.40, 5.62, 3.06], [1.87, 3.73, 4.24], [0.77, 2.81, 4.05], [1.09, 1.59, 3.06], [1.51, 2.00, 1.57], [0.64, 3.18, 0.91], [-0.61, 2.69, 0.05], [-1.63, 3.67, -0.22], [-2.86, 3.21, -1.12], [-3.46, 3.96, -1.94], [-3.34, 1.68, -0.96], [-4.92, 1.37, -1.07], [-5.56, 1.78, 0.35], [-6.91, 2.63, 0.26], [-6.87, 3.85, -0.80], [-8.25, 1.71, 0.08], [-9.31, 2.15, 1.21], [-10.67, 1.32, 1.22], [-10.84, 0.38, 2.29], [-9.62, -0.40, 2.98], [-12.36, 0.16, 2.82], [-2.34, 0.71, -0.70], [-2.72, -0.84, -0.53], [-1.60, -1.67, -0.10], [-2.21, -2.89, 0.39], [-3.37, -3.63, -0.37], [-4.07, -4.91, 0.13], [-5.26, -5.54, -0.75], [-3.61, -5.57, 1.46], [-2.45, -4.86, 2.25], [-1.74, -3.56, 1.73], [-0.53, -2.93, 2.61], [-1.03, -1.72, 3.53], [0.20, -4.12, 3.43], [-0.82, 1.25, -0.58], [0.10, 0.52, -1.03], [-0.05, 6.47, 3.28], [-0.62, 5.22, 4.50], [0.47, 6.70, 5.02], [-0.21, 3.29, 3.70], [0.55, 2.35, 5.08], [0.22, 0.85, 3.13], [2.00, 1.04, 3.52], [2.60, 2.38, 1.63], [1.56, 1.04, 0.96], [0.27, 3.98, 1.63], [1.35, 3.72, 0.17], [-1.58, 4.74, 0.15], [-5.41, 1.85, -1.98], [-5.08, 0.23, -1.19], [-4.74, 2.29, 0.97], [-5.81, 0.80, 0.92], [-7.05, 3.13, 1.30], [-6.73, 3.53, -1.88], [-7.92, 4.34, -0.75], [-6.14, 4.67, -0.46], [-7.95, 0.63, 0.31], [-8.68, 1.79, -0.99], [-8.78, 2.04, 2.22], [-9.51, 3.28, 1.07], [-11.47, 1.51, 0.43], [-8.80, -0.68, 2.22], [-9.09, 0.26, 3.78], [-10.02, -1.32, 3.52], [-12.47, -0.97, 3.02], [-12.48, 0.78, 3.78], [-13.08, 0.51, 1.99], [-3.01, -1.21, -1.59], [-3.60, -0.95, 0.20], [-3.76, -3.20, -1.37], [-5.32, -4.94, -1.73], [-5.09, -6.66, -0.96], [-6.23, -5.35, -0.14], [-4.09, -6.53, 1.86], [-2.17, -5.37, 3.24], [0.26, -2.52, 1.87], [-1.82, -2.02, 4.30], [-0.10, -1.24, 4.00], [-1.53, -0.95, 2.83], [1.26, -3.87, 3.74], [0.26, -5.04, 2.74], [-0.46, -4.44, 4.32], [2.55, -1.90, -3.21], [3.37, -1.20, -3.77], [4.42, -1.79, -4.63], [4.45, -3.18, -4.82], [5.40, -3.74, -5.66], [6.32, -2.93, -6.31], [6.31, -1.56, -6.12], [5.36, -0.98, -5.27], [5.36, 0.48, -5.05], [6.21, 1.18, -5.56], [4.30, 1.08, -4.20], [4.27, 2.46, -4.02], [3.26, 3.04, -3.25], [2.28, 2.24, -2.67], [2.32, 0.86, -2.84], [3.33, 0.27, -3.60], [3.73, -3.81, -4.31], [5.42, -4.82, -5.80], [7.06, -3.37, -6.98], [7.03, -0.93, -6.63], [5.03, 3.09, -4.47], [3.24, 4.11, -3.11], [1.49, 2.69, -2.08], [1.56, 0.24, -2.38], [7.79, 1.37, 0.05], [8.13, 0.21, -0.16], [9.55, -0.18, -0.11], [10.52, 0.78, 0.19], [11.86, 0.42, 0.28], [12.24, -0.91, 0.06], [11.28, -1.86, -0.26], [9.94, -1.50, -0.35], [8.93, -2.52, -0.71], [9.27, -3.66, -0.97], [7.50, -2.13, -0.73], [6.53, -3.10, -1.04], [5.18, -2.75, -1.03], [4.79, -1.45, -0.73], [5.76, -0.48, -0.44], [7.11, -0.82, -0.45], [10.23, 1.81, 0.37], [12.61, 1.17, 0.52], [13.28, -1.19, 0.14], [11.58, -2.89, -0.43], [6.83, -4.11, -1.27], [4.43, -3.50, -1.26], [3.74, -1.18, -0.71], [5.45, 0.53, -0.21]], "mulliken_charge": [-0.79, 0.70, -0.54, -0.31, -0.63, -0.19, -0.36, -0.22, 0.56, -0.71, 0.06, -0.60, 0.15, -0.44, -0.89, 0.21, -1.26, -0.47, -0.55, -0.49, 0.50, -1.01, -1.01, 0.22, -0.88, 0.08, -0.10, -0.55, 0.75, -1.09, -0.67, -0.47, 0.39, 0.88, -0.78, -1.44, 0.00, -0.45, 0.26, 0.25, 0.33, 0.22, 0.33, -0.27, 0.47, 0.40, 0.11, 0.09, 0.29, 0.38, 0.39, 0.28, 0.48, 0.39, 0.30, 0.27, 0.40, 0.25, 0.15, 0.28, 0.27, 0.33, 0.24, 0.19, 0.26, 0.35, 0.30, 0.23, 0.30, 0.17, 0.59, 0.01, 0.30, 0.31, 0.27, 0.28, 0.12, 0.08, 0.29, 0.30, 0.11, 0.36, 0.40, 0.25, -0.73, 0.44, 0.26, -0.50, -0.61, -0.50, -0.59, 0.18, 0.65, -0.70, 0.27, -0.79, -0.79, -0.17, -0.56, 0.15, 0.45, 0.41, 0.41, 0.48, 0.49, 0.43, 0.30, 1.07, -0.68, 0.47, 0.23, -0.53, -0.47, -0.46, -0.55, 0.19, 0.61, -0.68, 0.28, -0.69, -0.69, -0.30, -0.67, 0.11, 0.46, 0.39, 0.39, 0.46, 0.48, 0.43, 0.62, 0.60], "charge": 0, "smiles": "CC(=O)OCCCCC1=CC(=O)C(CC[C@@H](C)CCC=C(C)C)=C(COc2cc(C)ccc2C(C)C)C1=O.O=C1c2ccccc2C(=O)c2ccccc21.O=C1c2ccccc2C(=O)c2ccccc21", "homo_lumo_gap_ev": 7.20, "max_force_ha_per_bohr": 0.0940}
+++

[Exercise]
The reader should type out every line further above that contains the word "smiles".

[Written answer]
{"formula": "C61H62O9", "method": "ωB97M-V/def2-TZVPD", "elements": ["C", "C", "O", "O", "C", "C", "C", "C", "C", "C", "C", "O", "C", "C", "C", "C", "C", "C", "C", "C", "C", "C", "C", "C", "C", "O", "C", "C", "C", "C", "C", "C", "C", "C", "C", "C", "C", "O", "H", "H", "H", "H", "H", "H", "H", "H", "H", "H", "H", "H", "H", "H", "H", "H", "H", "H", "H", "H", "H", "H", "H", "H", "H", "H", "H", "H", "H", "H", "H", "H", "H", "H", "H", "H", "H", "H", "H", "H", "H", "H", "H", "H", "H", "H", "O", "C", "C", "C", "C", "C", "C", "C", "C", "O", "C", "C", "C", "C", "C", "C", "H", "H", "H", "H", "H", "H", "H", "H", "O", "C", "C", "C", "C", "C", "C", "C", "C", "O", "C", "C", "C", "C", "C", "C", "H", "H", "H", "H", "H", "H", "H", "H"], "coordinates": [[0.28, 5.90, 4.23], [1.56, 5.05, 3.81], [2.40, 5.62, 3.06], [1.87, 3.73, 4.24], [0.77, 2.81, 4.05], [1.09, 1.59, 3.06], [1.51, 2.00, 1.57], [0.64, 3.18, 0.91], [-0.61, 2.69, 0.05], [-1.63, 3.67, -0.22], [-2.86, 3.21, -1.12], [-3.46, 3.96, -1.94], [-3.34, 1.68, -0.96], [-4.92, 1.37, -1.07], [-5.56, 1.78, 0.35], [-6.91, 2.63, 0.26], [-6.87, 3.85, -0.80], [-8.25, 1.71, 0.08], [-9.31, 2.15, 1.21], [-10.67, 1.32, 1.22], [-10.84, 0.38, 2.29], [-9.62, -0.40, 2.98], [-12.36, 0.16, 2.82], [-2.34, 0.71, -0.70], [-2.72, -0.84, -0.53], [-1.60, -1.67, -0.10], [-2.21, -2.89, 0.39], [-3.37, -3.63, -0.37], [-4.07, -4.91, 0.13], [-5.26, -5.54, -0.75], [-3.61, -5.57, 1.46], [-2.45, -4.86, 2.25], [-1.74, -3.56, 1.73], [-0.53, -2.93, 2.61], [-1.03, -1.72, 3.53], [0.20, -4.12, 3.43], [-0.82, 1.25, -0.58], [0.10, 0.52, -1.03], [-0.05, 6.47, 3.28], [-0.62, 5.22, 4.50], [0.47, 6.70, 5.02], [-0.21, 3.29, 3.70], [0.55, 2.35, 5.08], [0.22, 0.85, 3.13], [2.00, 1.04, 3.52], [2.60, 2.38, 1.63], [1.56, 1.04, 0.96], [0.27, 3.98, 1.63], [1.35, 3.72, 0.17], [-1.58, 4.74, 0.15], [-5.41, 1.85, -1.98], [-5.08, 0.23, -1.19], [-4.74, 2.29, 0.97], [-5.81, 0.80, 0.92], [-7.05, 3.13, 1.30], [-6.73, 3.53, -1.88], [-7.92, 4.34, -0.75], [-6.14, 4.67, -0.46], [-7.95, 0.63, 0.31], [-8.68, 1.79, -0.99], [-8.78, 2.04, 2.22], [-9.51, 3.28, 1.07], [-11.47, 1.51, 0.43], [-8.80, -0.68, 2.22], [-9.09, 0.26, 3.78], [-10.02, -1.32, 3.52], [-12.47, -0.97, 3.02], [-12.48, 0.78, 3.78], [-13.08, 0.51, 1.99], [-3.01, -1.21, -1.59], [-3.60, -0.95, 0.20], [-3.76, -3.20, -1.37], [-5.32, -4.94, -1.73], [-5.09, -6.66, -0.96], [-6.23, -5.35, -0.14], [-4.09, -6.53, 1.86], [-2.17, -5.37, 3.24], [0.26, -2.52, 1.87], [-1.82, -2.02, 4.30], [-0.10, -1.24, 4.00], [-1.53, -0.95, 2.83], [1.26, -3.87, 3.74], [0.26, -5.04, 2.74], [-0.46, -4.44, 4.32], [2.55, -1.90, -3.21], [3.37, -1.20, -3.77], [4.42, -1.79, -4.63], [4.45, -3.18, -4.82], [5.40, -3.74, -5.66], [6.32, -2.93, -6.31], [6.31, -1.56, -6.12], [5.36, -0.98, -5.27], [5.36, 0.48, -5.05], [6.21, 1.18, -5.56], [4.30, 1.08, -4.20], [4.27, 2.46, -4.02], [3.26, 3.04, -3.25], [2.28, 2.24, -2.67], [2.32, 0.86, -2.84], [3.33, 0.27, -3.60], [3.73, -3.81, -4.31], [5.42, -4.82, -5.80], [7.06, -3.37, -6.98], [7.03, -0.93, -6.63], [5.03, 3.09, -4.47], [3.24, 4.11, -3.11], [1.49, 2.69, -2.08], [1.56, 0.24, -2.38], [7.79, 1.37, 0.05], [8.13, 0.21, -0.16], [9.55, -0.18, -0.11], [10.52, 0.78, 0.19], [11.86, 0.42, 0.28], [12.24, -0.91, 0.06], [11.28, -1.86, -0.26], [9.94, -1.50, -0.35], [8.93, -2.52, -0.71], [9.27, -3.66, -0.97], [7.50, -2.13, -0.73], [6.53, -3.10, -1.04], [5.18, -2.75, -1.03], [4.79, -1.45, -0.73], [5.76, -0.48, -0.44], [7.11, -0.82, -0.45], [10.23, 1.81, 0.37], [12.61, 1.17, 0.52], [13.28, -1.19, 0.14], [11.58, -2.89, -0.43], [6.83, -4.11, -1.27], [4.43, -3.50, -1.26], [3.74, -1.18, -0.71], [5.45, 0.53, -0.21]], "mulliken_charge": [-0.79, 0.70, -0.54, -0.31, -0.63, -0.19, -0.36, -0.22, 0.56, -0.71, 0.06, -0.60, 0.15, -0.44, -0.89, 0.21, -1.26, -0.47, -0.55, -0.49, 0.50, -1.01, -1.01, 0.22, -0.88, 0.08, -0.10, -0.55, 0.75, -1.09, -0.67, -0.47, 0.39, 0.88, -0.78, -1.44, 0.00, -0.45, 0.26, 0.25, 0.33, 0.22, 0.33, -0.27, 0.47, 0.40, 0.11, 0.09, 0.29, 0.38, 0.39, 0.28, 0.48, 0.39, 0.30, 0.27, 0.40, 0.25, 0.15, 0.28, 0.27, 0.33, 0.24, 0.19, 0.26, 0.35, 0.30, 0.23, 0.30, 0.17, 0.59, 0.01, 0.30, 0.31, 0.27, 0.28, 0.12, 0.08, 0.29, 0.30, 0.11, 0.36, 0.40, 0.25, -0.73, 0.44, 0.26, -0.50, -0.61, -0.50, -0.59, 0.18, 0.65, -0.70, 0.27, -0.79, -0.79, -0.17, -0.56, 0.15, 0.45, 0.41, 0.41, 0.48, 0.49, 0.43, 0.30, 1.07, -0.68, 0.47, 0.23, -0.53, -0.47, -0.46, -0.55, 0.19, 0.61, -0.68, 0.28, -0.69, -0.69, -0.30, -0.67, 0.11, 0.46, 0.39, 0.39, 0.46, 0.48, 0.43, 0.62, 0.60], "charge": 0, "smiles": "CC(=O)OCCCCC1=CC(=O)C(CC[C@@H](C)CCC=C(C)C)=C(COc2cc(C)ccc2C(C)C)C1=O.O=C1c2ccccc2C(=O)c2ccccc21.O=C1c2ccccc2C(=O)c2ccccc21", "homo_lumo_gap_ev": 7.20, "max_force_ha_per_bohr": 0.0940}